Newsletter, December 2009

It’s funny, but the print version of our newsletter was mailed and received before this post. However, if you read it here, you’re also going to get an update to the bit I wrote in the letter about a trip I just made to North Carolina.

Ten of us gathered at the JAARS center in Waxhaw to talk about how we could make the online help desk easier to use for the Wycliffe workers worldwide. Two of those people were my future colleagues at Wycliffe Europe, Ken Haugh and Martijn de Vries. Two people came from Orlando, and another came from Calgary.

Right now, a person putting a request in to the help desk has to complete 10 fields. That may not sound like many, but some of them involve complex categorization of the request. Yuck. Only geeks care about that stuff. As a result of these meetings, we’ve cut those fields down to as few as five. We’ll find out how useful folks find these changes when we make this new look active at the end of January.

So, here is the newsletter. Pick the medium that suits you best!

~~~
The following is a DFT calculation (ωB97M-V with the def2-TZVPD basis set) of a gas-phase ion, C3H7NOP (charge +1).

Calculated values
* ΔE to the lowest compared entry with this formula, charge and spin: 29.9 kcal/mol
* frontier orbital gap: 8.037 eV
* structure (SMILES): CP(O)[C@H]1C=[NH+]1
* charge: +1

Cartesian coordinates (Å):
1 C -1.2767 -1.0173 0.1423
2 P 0.3036 -0.6627 0.9876
3 O 1.2679 -1.8962 0.3805
4 C 0.7680 0.6484 -0.3400
5 C -0.1971 1.6147 -0.6889
6 N 0.7653 2.0526 0.0236
7 H -2.0202 -0.7510 0.8350
8 H -1.3996 -0.4776 -0.8561
9 H -1.3559 -2.1344 0.0087
10 H 1.7198 -2.4513 0.9886
11 H 1.4100 0.3574 -1.0760
12 H -1.1525 2.0128 -1.0072
13 H 1.1672 2.7047 0.6018



The following is a DFT calculation (ωB97M-V with the def2-TZVPD basis set) of a molecular structure, C3H3O3Rh.

Calculated values
* ΔE to the lowest compared entry with this formula, charge and spin: 0.0 kcal/mol
* frontier orbital gap (spin up / spin down): 7.346 / 8.049 eV
* expectation value of S²: 8.7567
* multiplicity: 6
* charge: +3

Cartesian coordinates (Å):
1 C -0.8709 0.4135 -0.2614
2 C -2.0608 -0.1315 -0.4706
3 O -0.4858 1.6740 -0.2851
4 H -2.1756 -1.2133 -0.5207
5 H -2.9474 0.5034 -0.5763
6 H 0.0666 1.9002 0.4764
7 O 2.3522 -0.4610 0.4621
8 C 1.6997 -1.4136 0.2291
9 O 1.3077 -2.4444 -0.0821
10 Rh 3.1142 1.1725 1.0285



The following is a DFT calculation (ωB97M-V with the def2-TZVPD basis set) of a molecular structure, C6H18GaNO3PS.

Calculated values
* frontier orbital gap: 7.764 eV
* charge: -1

Cartesian coordinates (Å):
1 C -0.1298 -3.3962 0.3485
2 C -0.6618 -2.7751 -0.9399
3 C -1.0405 -1.2902 -0.8135
4 N -0.0435 -0.4761 -0.1380
5 Ga -0.4413 1.4147 -0.0249
6 C 0.8641 2.2347 1.2813
7 S 2.5863 2.5294 0.8009
8 C 3.0052 1.0934 -0.2125
9 C 2.6798 1.1861 -1.7106
10 P -2.5485 1.5921 1.1249
11 O -2.8491 2.9092 1.7483
12 O -2.6655 0.3722 2.2331
13 O -3.7971 1.0294 0.2167
14 H -0.8921 -3.4078 1.1338
15 H 0.7292 -2.8328 0.7207
16 H 0.1952 -4.4269 0.1811
17 H 0.0817 -2.8939 -1.7363
18 H -1.5576 -3.3255 -1.2539
19 H -1.1470 -0.8926 -1.8322
20 H -2.0455 -1.2312 -0.3561
21 H 0.0577 -0.8151 0.8151
22 H -0.5675 2.0916 -1.4575
23 H 0.4920 3.2152 1.5908
24 H 0.8748 1.6026 2.1804
25 H 2.5222 0.2145 0.2190
26 H 4.0826 0.9817 -0.0548
27 H 2.0769 0.3305 -2.0203
28 H 2.1094 2.0870 -1.9373
29 H 3.5962 1.2161 -2.3078
30 H -1.9987 0.5272 2.9130
31 H -3.5678 1.1357 -0.7122



The following is a DFT calculation (ωB97M-V with the def2-TZVPD basis set) of 2 unconnected molecules or ions with the total composition C4H14N.

Calculated values
* ΔE to the lowest compared entry with this formula, charge and spin: 8.8 kcal/mol
* frontier orbital gap (spin up / spin down): 4.727 / 12.343 eV
* expectation value of S²: 0.7506
* multiplicity: 2
* charge: 0

Cartesian coordinates (Å):
1 C 0.5076 0.6782 -2.8078
2 C 1.5213 -0.3579 -2.3282
3 H 0.1668 1.3608 -2.0252
4 H 0.9008 1.3497 -3.5614
5 H -0.3565 0.1035 -3.1220
6 H 2.3689 0.0351 -1.7646
7 H 1.9741 -0.8122 -3.2072
8 H 1.0679 -1.1517 -1.7417
~~~

December 2009: A Liddle Good News (for reading on-screen)

December 2009: A Liddle Good News (for printing)

Irons in the fire

Today I gave a pilot presentation of our impending email change to my own department. It was good to have a rehearsal for the similar talks we’re planning for the rest of the people who work on our campus. Rather than deliver this major news to one large group, I hope to work with small groups to pass on information that could be somewhat overwhelming to people.

I think my little seminar was well received. No one tried to kill or maul me.

For a lot of the Wycliffe members I serve here in Dallas, this change in email is going to necessitate a major shift in thinking and practice. Much of the work of Bible translation is progressing through email messages that flow constantly around the world. Any disruption to what is now a familiar daily exercise is bound to cause anxiety.

I don’t need the Counseling department breathing down my neck because I’ve given them more clients than they can handle. But after today, I think I can prevent the stampede.

At the same time, I am also working on a major overhaul of our helpdesk system. Have you ever submitted something to a support website? Ugh, even the terminology sends me reeling! “Request”, “ticket”, or “incident”? “Helpdesk”, or “support”? “User”, or “customer”?

When we first put this system together, the handful of us working on it looked at things almost exclusively from a geek’s perspective. It’s easy to see that now. And even while those 1,000 mailboxes occupy some part of my mind, other parts are bent on making our helpdesk “user-centric”. The whiteboard in my office is losing its white-ness to all the ideas I’m putting on it.

These days, Bible translation needs technology in order to work smarter and faster. When it doesn’t work, I want the people involved to have their problems resolved as quickly as possible. A smoothly functioning helpdesk can help make that happen.

In the week ahead, please pray that the Lord, my King, would give me the wisdom, patience, and perseverance I need to bring glory to Him through these projects. Hmm … even now, Psalm 46:10 comes to my mind. Did you pray before I hit the “Publish” button?